- - -
1.
Entry from the OMol25 dataset: the ion CH8N4S2 with charge +2 (ωB97M-V/def2-TZVPD).

Calculated values
Kohn-Sham gap (spin up / spin down) in hartree: 0.3152 / 0.3152
DFT total energy in eV: -28774.101
LUMO (spin up / spin down) in eV: -9.82 / -9.82

```
! wB97M-V def2-TZVPD RIJCOSX def2/J DEFGRID3
* xyz 2 1
C 1.041 -0.256 0.236
N -0.225 1.283 -0.406
N 0.257 -1.269 0.049
N -1.497 1.183 -0.518
N -1.096 -1.493 0.481
S 2.610 -0.076 -0.411
S 0.583 1.080 1.356
H 0.155 2.127 -0.737
H 0.538 -1.837 -0.834
H -2.161 1.902 -0.495
H -1.753 0.146 -0.231
H -1.386 -2.368 0.149
H -1.358 -1.037 1.335
H 2.595 -1.032 -1.382
H 1.698 1.647 1.406
*
```

2.
Entry from the OMol25 dataset: a structure of composition C15H31FP2V (ωB97M-V/def2-TZVPD).

Calculated values
Kohn-Sham gap (spin up / spin down) in hartree: 0.1696 / 0.1724
Expectation value of S²: 3.767
DFT total energy in eV: -63031.750
LUMO (spin up / spin down) in eV: -0.09 / -0.10

```
! wB97M-V def2-TZVPD RIJCOSX def2/J DEFGRID3
* xyz 0 4
P -1.094 1.570 -1.428
P 0.360 -2.283 -0.438
C -0.843 -0.142 -2.205
C -1.010 -1.489 -1.441
H 0.131 -0.069 -2.726
H -1.603 -0.131 -3.023
H -1.946 -1.506 -0.842
H -1.173 -2.243 -2.246
C 1.603 -2.535 -1.722
H 2.601 -2.754 -1.309
H 1.685 -1.702 -2.447
H 1.268 -3.423 -2.286
C -0.352 -3.856 0.014
H -0.312 -4.470 -0.893
H -1.391 -3.686 0.333
H 0.236 -4.299 0.830
C -0.874 2.520 -2.949
H -0.792 3.584 -2.707
H -1.719 2.358 -3.646
H 0.048 2.194 -3.460
C -2.928 1.427 -1.235
H -3.225 0.468 -0.758
H -3.410 1.455 -2.235
H -3.316 2.263 -0.635
V 2.071 0.687 2.497
C 0.885 -1.680 1.232
C 2.010 -0.758 0.874
C 1.711 0.308 -0.131
C 1.400 1.796 0.263
C -0.144 2.240 0.121
C -0.991 1.637 1.150
C -1.041 0.167 1.290
C -0.147 -0.846 2.105
C 0.704 1.912 3.668
H 1.265 -2.549 1.818
H 3.020 -1.207 0.919
H 0.894 0.035 -0.810
H 2.591 0.338 -0.795
H 2.001 2.099 1.167
H 1.856 2.381 -0.553
H -0.262 3.330 0.038
H -1.457 2.270 1.916
H -0.953 -0.205 0.261
H -2.094 -0.028 1.575
H 0.339 -0.321 2.952
H -0.836 -1.602 2.518
H 0.436 1.384 4.601
H -0.152 2.515 3.351
H 1.534 2.617 3.867
F 3.416 0.227 3.562
*
```

3.
Entry from the OMol25 dataset: a cluster of 5 separate species, C26H65B2O4P in total (ωB97M-V/def2-TZVPD).

Calculated values
Kohn-Sham gap in hartree: 0.3361
SMILES string: CCB(O)BP(=O)(O)O.CCCCCC.CCCCCC.CCCCCC.CCCCCC
DFT total energy in eV: -46851.322
LUMO in eV: -0.59

```
! wB97M-V def2-TZVPD RIJCOSX def2/J DEFGRID3
* xyz 0 1
C -2.406 0.548 1.992
C -3.454 -0.396 1.351
B -4.471 -0.962 2.402
O -4.012 -1.359 3.656
B -6.116 -1.205 2.146
P -7.381 0.199 1.916
O -7.408 0.591 0.491
O -8.829 -0.257 2.457
O -7.005 1.386 2.925
H -2.820 1.064 2.863
H -2.077 1.314 1.292
H -1.541 -0.015 2.341
H -3.940 0.066 0.490
H -2.923 -1.278 0.965
H -3.707 -0.659 4.241
H -6.572 -2.302 2.041
H -9.266 -0.764 1.758
H -7.320 2.225 2.557
C -1.397 6.882 0.086
C -1.512 5.420 -0.332
C -2.692 5.144 -1.262
C -4.070 5.439 -0.666
C -4.379 4.680 0.624
C -4.371 3.165 0.452
H -2.276 7.213 0.642
H -0.527 7.042 0.724
H -1.294 7.528 -0.789
H -1.579 4.787 0.558
H -0.592 5.122 -0.843
H -2.652 4.100 -1.585
H -2.571 5.743 -2.169
H -4.831 5.192 -1.413
H -4.168 6.512 -0.480
H -5.361 4.997 0.987
H -3.666 4.964 1.404
H -5.103 2.849 -0.295
H -4.615 2.660 1.388
H -3.391 2.806 0.133
C 1.657 -6.052 0.658
C 1.630 -4.635 1.221
C 0.221 -4.100 1.470
C -0.656 -4.000 0.221
C -0.079 -3.140 -0.902
C 0.141 -1.686 -0.497
H 1.159 -6.108 -0.311
H 2.683 -6.395 0.519
H 1.158 -6.750 1.334
H 2.171 -3.964 0.546
H 2.179 -4.614 2.166
H 0.293 -3.118 1.946
H -0.281 -4.748 2.196
H -1.630 -3.593 0.515
H -0.858 -5.002 -0.167
H -0.766 -3.176 -1.752
H 0.863 -3.567 -1.258
H -0.798 -1.234 -0.167
H 0.521 -1.097 -1.332
H 0.858 -1.599 0.321
C -0.779 6.743 -4.435
C -0.069 5.975 -5.543
C 0.026 4.474 -5.265
C 0.795 4.104 -3.996
C 2.229 4.627 -3.936
C 3.119 4.095 -5.055
H -0.248 6.658 -3.485
H -0.859 7.805 -4.672
H -1.790 6.355 -4.288
H 0.929 6.394 -5.697
H -0.605 6.119 -6.484
H 0.480 3.981 -6.129
H -0.986 4.065 -5.185
H 0.812 3.013 -3.907
H 0.249 4.466 -3.120
- - -
What is needed: search the entries further up for the word "hartree" and give back each line that has it.
Kohn-Sham gap (spin up / spin down) in hartree: 0.3152 / 0.3152
Kohn-Sham gap (spin up / spin down) in hartree: 0.1696 / 0.1724
Kohn-Sham gap in hartree: 0.3361